/*
Crystalline Rb2BeNiO4 at its relaxed geometry, computed with GGA+U.

a = 11.7117 Å, b = 10.3774 Å, c = 6.3715 Å
α = 85.18°, β = 62.00°, γ = 32.83°
Positions (direct):
Rb (0.0505, 0.0505, 0.6995)
Rb (0.3005, 0.3005, 0.9495)
Rb (0.6995, 0.6995, 0.0505)
Rb (0.9495, 0.9495, 0.3005)
Be (0.3750, 0.3750, 0.3750)
Be (0.6250, 0.6250, 0.6250)
Ni (0.1250, 0.1250, 0.1250)
Ni (0.8750, 0.8750, 0.8750)
O (0.0207, 0.6540, 0.5599)
O (0.2654, 0.5599, 0.6540)
O (0.3460, 0.9793, 0.7346)
O (0.4401, 0.7346, 0.9793)
O (0.5599, 0.2654, 0.0207)
O (0.6540, 0.0207, 0.2654)
O (0.7346, 0.4401, 0.3460)
O (0.9793, 0.3460, 0.4401)

**DOS at the Fermi energy**: 0.48 states/eV/cell
**Total DFT energy (no corrections)**: -38.72 eV per formula unit

=====

[1]
Here is a PBEsol-optimized structure of TaMn2H2 from the Alexandria database. Energies are from SCAN.

Computed properties:
symmetry = I4/mmm
energy = -22.113 eV per atom

abc: 3.1559 3.1559 4.9884
angles: 108.44 108.44 90.00
Sites, in units of the cell vectors:
H  0.2500  0.7500  0.5000
H  0.7500  0.2500  0.5000
Mn  0.3423  0.3423  0.6846
Mn  0.6577  0.6577  0.3154
Ta  0.0000  0.0000  0.0000

[2]
Here is a PBEsol-optimized structure of Mn2TcH2 from the Alexandria database. Energies are from SCAN.

Computed properties:
symmetry = I4/mmm
energy = -15.709 eV per atom

abc: 2.6748 2.6748 6.0042
angles: 102.87 102.87 90.00
Sites, in units of the cell vectors:
H  0.2500  0.7500  0.5000
H  0.7500  0.2500  0.5000
Mn  0.3471  0.3471  0.6942
Mn  0.6529  0.6529  0.3058
Tc  0.0000  0.0000  0.0000

[3]
Here is a PBEsol-optimized structure of MnTc3H from the Alexandria database. Energies are from SCAN.

Computed properties:
symmetry = Pm-3m
energy = -25.333 eV per atom

abc: 3.8146 3.8146 3.8146
angles: 90.00 90.00 90.00
Sites, in units of the cell vectors:
H  0.0000  0.0000  0.0000
Mn  0.5000  0.5000  0.5000
Tc  0.0000  0.5000  0.0000
Tc  0.0000  0.0000  0.5000
Tc  0.5000  0.0000  0.0000

[4]
Here is a PBEsol-optimized structure of MnTe2H from the Alexandria database. Energies are from SCAN.

Computed properties:
symmetry = I-42d
energy = -23.908 eV per atom

abc: 5.8080 5.8080 6.6129
angles: 116.05 116.05 90.00
Sites, in units of the cell vectors:
H  0.7500  0.2500  0.5000
H  0.5000  0.5000  0.0000
Te  0.4188  0.8750  0.2500
Te  0.8312  0.3750  0.2500
Te  0.1250  0.1688  0.7500
Te  0.6250  0.5812  0.7500
Mn  0.2500  0.7500  0.5000
Mn  0.0000  0.0000  0.0000

[5]
Here is a PBEsol-optimized structure of Ti2MnH2 from the Alexandria database. Energies are from SCAN.

Computed properties:
symmetry = I4/mmm
energy = -11.858 eV per atom

abc: 2.9810 2.9810 5.6235
angles: 105.37 105.37 90.00
Sites, in units of the cell vectors:
H  0.2500  0.7500  0.5000
H  0.7500  0.2500  0.5000
Mn  0.0000  0.0000  0.0000
Ti  0.3631  0.3631  0.7262
Ti  0.6369  0.6369  0.2738

[6]
Here is a PBEsol-optimized structure of Ti2MnH from the Alexandria database. Energies are from SCAN.

Computed properties:
symmetry = I-42d
energy = -13.445 eV per atom

abc: 4.9353 4.9353 4.9353
angles: 104.45 112.04 112.04
Sites, in units of the cell vectors:
H  0.5000  0.2500  0.7500
H  0.0000  0.5000  0.5000
Mn  0.5000  0.7500  0.2500
Mn  0.0000  0.0000  0.0000
Ti  0.9271  0.5521  0.1250
Ti  0.0729  0.1979  0.6250
Ti  0.4271  0.8750  0.8021
Ti  0.5729  0.3750  0.4479

[7]
Here is a PBEsol-optimized structure of YMn3H from the Alexandria database. Energies are from SCAN.

Computed properties:
symmetry = Pm-3m
energy = -15.305 eV per atom

abc: 5.0276 5.0276 5.0276
angles: 90.00 90.00 90.00
Sites, in units of the cell vectors:
Y  0.0000  0.0000  0.0000
H  0.5000  0.5000  0.5000
Mn  0.0000  0.5000  0.0000
Mn  0.0000  0.0000  0.5000
Mn  0.5000  0.0000  0.0000

[8]
Here is a PBEsol-optimized structure of YMnH3 from the Alexandria database. Energies are from SCAN.

Computed properties:
symmetry = Pm-3m
energy = -11.723 eV per atom

abc: 3.4837 3.4837 3.4837
angles: 90.00 90.00 90.00
Sites, in units of the cell vectors:
Y  0.5000  0.5000  0.5000
*/

Return the whole of the lines further up without altering anything.

Crystalline Rb2BeNiO4 at its relaxed geometry, computed with GGA+U.

a = 11.7117 Å, b = 10.3774 Å, c = 6.3715 Å
α = 85.18°, β = 62.00°, γ = 32.83°
Positions (direct):
Rb (0.0505, 0.0505, 0.6995)
Rb (0.3005, 0.3005, 0.9495)
Rb (0.6995, 0.6995, 0.0505)
Rb (0.9495, 0.9495, 0.3005)
Be (0.3750, 0.3750, 0.3750)
Be (0.6250, 0.6250, 0.6250)
Ni (0.1250, 0.1250, 0.1250)
Ni (0.8750, 0.8750, 0.8750)
O (0.0207, 0.6540, 0.5599)
O (0.2654, 0.5599, 0.6540)
O (0.3460, 0.9793, 0.7346)
O (0.4401, 0.7346, 0.9793)
O (0.5599, 0.2654, 0.0207)
O (0.6540, 0.0207, 0.2654)
O (0.7346, 0.4401, 0.3460)
O (0.9793, 0.3460, 0.4401)

**DOS at the Fermi energy**: 0.48 states/eV/cell
**Total DFT energy (no corrections)**: -38.72 eV per formula unit

=====

[1]
Here is a PBEsol-optimized structure of TaMn2H2 from the Alexandria database. Energies are from SCAN.

Computed properties:
symmetry = I4/mmm
energy = -22.113 eV per atom

abc: 3.1559 3.1559 4.9884
angles: 108.44 108.44 90.00
Sites, in units of the cell vectors:
H  0.2500  0.7500  0.5000
H  0.7500  0.2500  0.5000
Mn  0.3423  0.3423  0.6846
Mn  0.6577  0.6577  0.3154
Ta  0.0000  0.0000  0.0000

[2]
Here is a PBEsol-optimized structure of Mn2TcH2 from the Alexandria database. Energies are from SCAN.

Computed properties:
symmetry = I4/mmm
energy = -15.709 eV per atom

abc: 2.6748 2.6748 6.0042
angles: 102.87 102.87 90.00
Sites, in units of the cell vectors:
H  0.2500  0.7500  0.5000
H  0.7500  0.2500  0.5000
Mn  0.3471  0.3471  0.6942
Mn  0.6529  0.6529  0.3058
Tc  0.0000  0.0000  0.0000

[3]
Here is a PBEsol-optimized structure of MnTc3H from the Alexandria database. Energies are from SCAN.

Computed properties:
symmetry = Pm-3m
energy = -25.333 eV per atom

abc: 3.8146 3.8146 3.8146
angles: 90.00 90.00 90.00
Sites, in units of the cell vectors:
H  0.0000  0.0000  0.0000
Mn  0.5000  0.5000  0.5000
Tc  0.0000  0.5000  0.0000
Tc  0.0000  0.0000  0.5000
Tc  0.5000  0.0000  0.0000

[4]
Here is a PBEsol-optimized structure of MnTe2H from the Alexandria database. Energies are from SCAN.

Computed properties:
symmetry = I-42d
energy = -23.908 eV per atom

abc: 5.8080 5.8080 6.6129
angles: 116.05 116.05 90.00
Sites, in units of the cell vectors:
H  0.7500  0.2500  0.5000
H  0.5000  0.5000  0.0000
Te  0.4188  0.8750  0.2500
Te  0.8312  0.3750  0.2500
Te  0.1250  0.1688  0.7500
Te  0.6250  0.5812  0.7500
Mn  0.2500  0.7500  0.5000
Mn  0.0000  0.0000  0.0000

[5]
Here is a PBEsol-optimized structure of Ti2MnH2 from the Alexandria database. Energies are from SCAN.

Computed properties:
symmetry = I4/mmm
energy = -11.858 eV per atom

abc: 2.9810 2.9810 5.6235
angles: 105.37 105.37 90.00
Sites, in units of the cell vectors:
H  0.2500  0.7500  0.5000
H  0.7500  0.2500  0.5000
Mn  0.0000  0.0000  0.0000
Ti  0.3631  0.3631  0.7262
Ti  0.6369  0.6369  0.2738

[6]
Here is a PBEsol-optimized structure of Ti2MnH from the Alexandria database. Energies are from SCAN.

Computed properties:
symmetry = I-42d
energy = -13.445 eV per atom

abc: 4.9353 4.9353 4.9353
angles: 104.45 112.04 112.04
Sites, in units of the cell vectors:
H  0.5000  0.2500  0.7500
H  0.0000  0.5000  0.5000
Mn  0.5000  0.7500  0.2500
Mn  0.0000  0.0000  0.0000
Ti  0.9271  0.5521  0.1250
Ti  0.0729  0.1979  0.6250
Ti  0.4271  0.8750  0.8021
Ti  0.5729  0.3750  0.4479

[7]
Here is a PBEsol-optimized structure of YMn3H from the Alexandria database. Energies are from SCAN.

Computed properties:
symmetry = Pm-3m
energy = -15.305 eV per atom

abc: 5.0276 5.0276 5.0276
angles: 90.00 90.00 90.00
Sites, in units of the cell vectors:
Y  0.0000  0.0000  0.0000
H  0.5000  0.5000  0.5000
Mn  0.0000  0.5000  0.0000
Mn  0.0000  0.0000  0.5000
Mn  0.5000  0.0000  0.0000

[8]
Here is a PBEsol-optimized structure of YMnH3 from the Alexandria database. Energies are from SCAN.

Computed properties:
symmetry = Pm-3m
energy = -11.723 eV per atom

abc: 3.4837 3.4837 3.4837
angles: 90.00 90.00 90.00
Sites, in units of the cell vectors:
Y  0.5000  0.5000  0.5000